My Application

13.11.2024 - 14.11.2024


+380 44 496-86-45


Сompany category

Field of Activity


Selected exhibitors: 500

Хімічні пілінги. , Перукарські інструменти та аксесуари. Гель-лаки. ,

Hobbit House LLC is a Ukrainian production and construction company specializing in the production of reinforced concrete products. With the beginning of the war, we refocused on building reliable and safe...

Stand: 1-D-1

What comes next are data records, not part of the text:
<<<
# 1
VASP calculation (PBE) on a geometry-optimized La2Sc3Pt4 structure.

Cell: 7.326 7.381 7.858 Å, 90.00 110.14 90.00°
Space group P2_1/c (No. 14)
Unique sites:
La (0.193, 0.172, 0.079)
Sc (0.253, 0.655, 0.249)
Sc (0.500, 0.000, 0.500)
Pt (0.097, 0.551, 0.869)
Pt (0.492, 0.643, 0.623)

Values from the calculation:
* calculated total energy: -7.046 eV/atom



# 2
VASP calculation (PBE) on a geometry-optimized La2ScPt structure.

Cell: 3.784 5.025 12.204 Å, 90.00 90.00 90.00°
Space group Amm2 (No. 38)
Unique sites:
La (0.000, 0.000, 0.000)
La (0.500, 0.000, 0.304)
Sc (0.500, 0.000, 0.606)
Pt (0.000, 0.000, 0.758)

Values from the calculation:
* polymorph energy (0 for the lowest one): 0 meV/atom


Record 1
La2HgPdPt (PBE-GGA, optimized geometry); total DFT energy (no corrections) = -5.07 eV/atom
1.0
-1.210 -4.249 -0.511
6.295 -1.208 -4.861
0.563 -1.182 8.499
La Hg Pd Pt
4 2 2 2
direct
0.750 0.759 0.655
0.750 0.731 0.061
0.250 0.241 0.345
0.250 0.269 0.939
0.250 0.815 0.385
0.750 0.185 0.615
0.250 0.479 0.737
0.750 0.521 0.263
0.250 0.872 0.925
0.750 0.128 0.075

---

Record 2
AgSn2Ge2 (PBE-GGA, optimized geometry); total DFT energy (no corrections) = -3.81 eV/atom
1.0
3.676 0.000 0.000
0.000 3.676 0.000
1.838 1.838 8.631
Ge Sn Ag
2 2 1
direct
0.750 0.250 0.500
0.250 0.750 0.500
0.401 0.401 0.199
0.599 0.599 0.801
0.000 0.000 0.000

---

Record 3
SrScIrF2 (PBE-GGA, optimized geometry); E_form (uncorrected) = -59 kJ per mole of atoms
1.0
4.909 0.000 0.000
0.000 4.721 0.000
0.000 0.000 4.909
Sc Sr Ir F
1 1 1 2
direct
0.000 0.500 0.000
0.500 0.500 0.500
0.000 0.000 0.000
0.000 0.000 0.500
0.500 0.000 0.000


First-principles (PBE) data for Ni3HRu after structural relaxation, as listed in the Alexandria database.

```
5
Lattice="4.4963 0.0000 0.0000 0.0000 4.4963 0.0000 0.0000 0.0000 4.4963" Properties=species:S:1:pos:R:3 pbc="T T T"
Ni 2.2481 0.0000 0.0000
Ni 0.0000 0.0000 2.2481
Ni 0.0000 2.2481 0.0000
Ru 0.0000 0.0000 0.0000
H 2.2481 2.2481 2.2481
```

Properties
The value obtained for the spin magnetization is 2.46 μB/f.u. Its energy above the most stable polymorph in this dataset is 1686 meV/atom.


First-principles (PBE) data for Ni2HRu after structural relaxation, as listed in the Alexandria database.

```
4
Lattice="0.0000 2.8177 2.8177 2.8177 0.0000 2.8177 2.8177 2.8177 0.0000" Properties=species:S:1:pos:R:3 pbc="T T T"
Ru 2.8177 2.8177 2.8177
H 0.0000 0.0000 0.0000
Ni 4.2265 4.2265 4.2265
Ni 1.4088 1.4088 1.4088
```

Properties
The value obtained for the spin magnetization is 2.98 μB/f.u. Its energy above the most stable polymorph in this dataset is 752 meV/atom.


First-principles (PBE) data for NiH3Ru after structural relaxation, as listed in the Alexandria database.

```
5
Lattice="3.2171 0.0000 0.0000 0.0000 3.2171 0.0000 0.0000 0.0000 3.2171" Properties=species:S:1:pos:R:3 pbc="T T T"
H 1.6085 0.0000 0.0000
H 0.0000 1.6085 0.0000
Ru 1.6085 1.6085 1.6085
Ni 0.0000 0.0000 0.0000
H 0.0000 0.0000 1.6085
```

Properties
>>>


Hortilife is a leading player in the greenhousing market. We deliver modern “turn-key” greenhouses that meet the best standards using Dutch knowledge and research centres and several technical partners. Ho...

Stand: 1-B-6; 1-С-4


HoSt Energy Systems is a family company from the Netherlands and leader in high-tech renewable energy systems. Our systems are equipped with proprietary technologies. Designed to maximize efficiency and en...

Stand: 1-B-6; 1-С-4

Засоби по догляду за нігтями та руками. , Реконструкція волосся. Професійні шампуні, кондиціонери, маски, бальзами. ,

-- Unrelated to this page: calculated crystals --
~~~
DFT (PBE) results for an optimized crystal structure of K2YIn.

## Properties
The volume is 39.5 A^3/atom. Its space group is P4/mmm. As for the formation energy: 0.33 eV per atom. For the raw total energy, the calculation gives -2.516 eV/atom.

Unit cell a=3.4880 b=3.4880 c=12.9902 alpha=90.00 beta=90.00 gamma=90.00
Fractional positions:
K: 0.0000 0.0000 0.5244
K: 0.0000 0.0000 0.9756
Y: 0.5000 0.5000 0.2500
In: 0.5000 0.5000 0.7500

DFT (PBE) results for an optimized crystal structure of K2YIn.

## Properties
The volume is 36.7 A^3/atom. Its space group is Pmmm. As for the formation energy: 0.19 eV per atom. For the raw total energy, the calculation gives -2.657 eV/atom.

Unit cell a=4.3052 b=5.2296 c=6.5205 alpha=90.00 beta=90.00 gamma=90.00
Fractional positions:
K: 0.5000 0.5000 0.0000
K: 0.0000 0.0000 0.0000
Y: 0.5000 0.0000 0.5000
In: 0.0000 0.5000 0.5000

DFT (PBE) results for an optimized crystal structure of KYIn2.

## Properties
The volume is 30.2 A^3/atom. As for the energy above the most stable polymorph in this dataset: 145 meV/atom. Its space group is Fm-3m. As for the formation energy: -0.10 eV per atom. For the raw total energy, the calculation gives -3.358 eV/atom.

Unit cell a=5.5484 b=5.5484 c=5.5484 alpha=60.00 beta=60.00 gamma=60.00
Fractional positions:
In: 0.2500 0.2500 0.2500
In: 0.7500 0.7500 0.7500
K: 0.0000 0.0000 0.0000
Y: 0.5000 0.5000 0.5000

DFT (PBE) results for an optimized crystal structure of KY2In2.

## Properties
The volume is 31.1 A^3/atom. As for the energy above the most stable polymorph in this dataset: 64 meV/atom. Its space group is P4/mbm. As for the formation energy: -0.17 eV per atom. For the raw total energy, the calculation gives -4.069 eV/atom.

Unit cell a=9.1929 b=9.1929 c=3.6780 alpha=90.00 beta=90.00 gamma=90.00
Fractional positions:
K: 0.5000 0.5000 0.0000
K: 0.0000 0.0000 0.0000
In: 0.6235 0.1235 0.0000
In: 0.8765 0.6235 0.0000
In: 0.1235 0.3765 0.0000
In: 0.3765 0.8765 0.0000
Y: 0.6693 0.8307 0.5000
Y: 0.1693 0.6693 0.5000
Y: 0.3307 0.1693 0.5000
Y: 0.8307 0.3307 0.5000

DFT (PBE) results for an optimized crystal structure of K2YIn2.

## Properties
The volume is 39.4 A^3/atom. Its space group is P4/mbm. As for the formation energy: 0.10 eV per atom. For the raw total energy, the calculation gives -2.723 eV/atom.

Unit cell a=8.0714 b=8.0714 c=6.0482 alpha=90.00 beta=90.00 gamma=90.00
Fractional positions:
In: 0.1301 0.3699 0.0000
In: 0.6301 0.1301 0.0000
In: 0.8699 0.6301 0.0000
In: 0.3699 0.8699 0.0000
Y: 0.5000 0.5000 0.0000
Y: 0.0000 0.0000 0.0000
K: 0.3266 0.1734 0.5000
K: 0.6734 0.8266 0.5000
K: 0.1734 0.6734 0.5000
K: 0.8266 0.3266 0.5000

DFT (PBE) results for an optimized crystal structure of KY4In.

## Properties
The volume is 34.5 A^3/atom. Its space group is F-43m. As for the formation energy: 0.37 eV per atom. For the raw total energy, the calculation gives -4.583 eV/atom.

Unit cell a=6.6409 b=6.6409 c=6.6409 alpha=60.00 beta=60.00 gamma=60.00
Fractional positions:
~~~
-- Back to the page --

Howden Turbo GmbH, part of Chart Industries since 2023, in Frankenthal, Germany stands for steam turbines, turbo compressors and turbo fans. Since its foundation in 1899, the original AG KKK has developed,...

Stand: 1-C-2/5

УФ-лампи. , Перукарські інструменти та аксесуари. Професійні засоби для лікування волосся. ,

Misplaced calculated crystals:
********
1.
Computed, not measured: a geometry-optimized GaAgC structure at the GGA-PBE level of DFT.

Calculated values
Calculated formation energy   0.606 eV per atom
Magnetization   0.00 μB per atom
Theoretical density   5.82 g/cm³

The structure in CIF format:
```
data_GaAgC
_symmetry_space_group_name_H-M 'P 1'
_symmetry_Int_Tables_number 1
_symmetry_space_group_name_Hall 'P 1'
_cell_length_a 4.5958
_cell_length_b 4.7600
_cell_length_c 5.8926
_cell_angle_alpha 79.44
_cell_angle_beta 67.20
_cell_angle_gamma 65.57
loop_
_atom_site_label
_atom_site_type_symbol
_atom_site_fract_x
_atom_site_fract_y
_atom_site_fract_z
Ga1 Ga 0.0000 0.0000 0.0000
Ga2 Ga 0.4120 0.2004 0.4235
Ag1 Ag 0.1233 0.8221 0.4223
Ag2 Ag 0.8526 0.5018 0.2495
C1 C 0.4411 0.0522 0.7872
C2 C 0.7260 0.0226 0.8006
```

2.
Computed, not measured: a geometry-optimized GaAgC structure at the GGA-PBE level of DFT.

Calculated values
Calculated formation energy   0.574 eV per atom
Magnetization   0.00 μB per atom
Theoretical density   5.92 g/cm³

The structure in CIF format:
```
data_GaAgC
_symmetry_space_group_name_H-M 'P -1'
_symmetry_Int_Tables_number 2
_symmetry_space_group_name_Hall '-P 1'
_cell_length_a 4.2661
_cell_length_b 5.3017
_cell_length_c 5.5258
_cell_angle_alpha 110.01
_cell_angle_beta 90.20
_cell_angle_gamma 113.48
loop_
_atom_site_label
_atom_site_type_symbol
_atom_site_fract_x
_atom_site_fract_y
_atom_site_fract_z
Ga1 Ga 0.0078 0.0134 0.2683
Ag1 Ag 0.2564 0.5114 0.6821
C1 C 0.3422 0.9997 0.9999
```

3.
Computed, not measured: a geometry-optimized GaAgC structure at the GGA-PBE level of DFT.

Calculated values
Calculated formation energy   0.838 eV per atom
Magnetization   0.00 μB per atom
Theoretical density   7.06 g/cm³

The structure in CIF format:
```
data_GaAgC
_symmetry_space_group_name_H-M 'P 63/m m c'
_symmetry_Int_Tables_number 194
_symmetry_space_group_name_Hall '-P 6c 2c'
_cell_length_a 3.4194
_cell_length_b 3.4194
_cell_length_c 8.8087
_cell_angle_alpha 90.00
_cell_angle_beta 90.00
_cell_angle_gamma 120.00
loop_
_atom_site_label
_atom_site_type_symbol
_atom_site_fract_x
_atom_site_fract_y
_atom_site_fract_z
Ga1 Ga 0.3333 0.6667 0.2500
Ag1 Ag 0.0000 0.0000 0.0000
C1 C 0.3333 0.6667 0.7500
```

4.
Computed, not measured: a geometry-optimized GaAgC structure at the GGA-PBE level of DFT.

Calculated values
Calculated formation energy   0.861 eV per atom
Magnetization   0.00 μB per atom
Theoretical density   3.26 g/cm³

The structure in CIF format:
```
data_GaAgC
_symmetry_space_group_name_H-M 'P n m a'
_symmetry_Int_Tables_number 62
_symmetry_space_group_name_Hall '-P 2ac 2n'
_cell_length_a 6.7123
_cell_length_b 6.3197
_cell_length_c 9.1115
_cell_angle_alpha 90.00
_cell_angle_beta 90.00
_cell_angle_gamma 90.00
loop_
_atom_site_label
_atom_site_type_symbol
_atom_site_fract_x
_atom_site_fract_y
_atom_site_fract_z
Ga1 Ga 0.0000 0.0000 0.0000
Ag1 Ag 0.2490 0.2500 0.2501
C1 C 0.0009 0.7500 0.8939
```

5.
********

HUSSOR is a French manufacturer of heavy metallic formwork. Productivity, Ergonomics and Quality are the key values of our equipment.

Stand: 1-A-4

Перукарські інструменти та аксесуари. , Професійні засоби для лікування волосся. , Манікюрний інструмент. ,

Hydrema is a leading manufacturer of earthmoving equipment with over six decades of engineering excellence. Expanding its expertice to the defence sector, Hydrema offers an array of armored vehicles to mee...

Stand: 1-C-6

Перукарські інструменти та аксесуари. , Фрези, насадки.

Hydro-Vacuum S. A. is a dynamically developing leader of the pump industry in Poland and Central and Eastern Europe with many years of experience. The history of the factory dates back to 1862. In developi...

Stand: 4-D-14

Інструменти та аксесуари для манікюру. , Перукарські інструменти та аксесуари. , Професійні засоби догляду за волоссям. , Фрези, насадки.

The quality and technology leader Ifw specializes in the development and production of high-tech tools for joining plastic pipes.

Stand: 4-C-20

Інструменти та аксесуари для манікюру. , Перукарські інструменти та аксесуари.

All our products are developed in-house, with and for the emergency services. Our main focus is to increase safety for emergency services personnel while also making handling as simple as possible so that...

Stand: 4-C-20

УФ-лампи. , Все для нарощування волосся. ,

Created in late 2012 to support the France Très Haut Débit (High-Speed Broadband) Plan, the InfraNum federation brings together more than 200 companies representing all professions within the digital infra...

Stand: 1-A-4